-- begin --
# 1
This entry pairs a crystal structure of Nd3Se3O with its simulated PXRD pattern. Radiation: λ = 1.5418 Å (Cu Kα). Structure: a cell relaxed with GGA-PBE.
Lines closer than 0.1° are merged.

Crystal structure
Lattice parameters (Å, degrees): 12.248 4.129 13.405 90.00 90.00 90.00
Space group Pnma (No. 62)
Unique sites:
Nd  0.024  0.250  0.160
Nd  0.103  0.250  0.613
Nd  0.239  0.250  0.870
Se  0.073  0.250  0.389
Se  0.144  0.750  0.010
Se  0.236  0.750  0.709
O  0.056  0.250  0.799

Most intense lines, 2θ from 15° to 90°, low angle first:
2θ 25.5, I 51, (3 0 2)
2θ 26.0, I 38, (2 1 0)
2θ 26.4, I 44, (1 1 2)
2θ 26.6, I 55, (0 0 4)
2θ 26.9, I 38, (2 1 1)
2θ 30.4, I 59, (1 1 3)
2θ 31.5, I 100, (3 1 1)
2θ 33.0, I 41, (2 1 3)
2θ 34.2, I 38, (1 0 5)
2θ 37.6, I 84, (2 1 4)
2θ 42.8, I 40, (2 1 5)
2θ 43.9, I 64, (0 2 0)


# 2
This entry pairs a crystal structure of Nd2Ta3Se2O8 with its simulated PXRD pattern. Radiation: λ = 1.5418 Å (Cu Kα). Structure: a cell relaxed with GGA-PBE.
Lines closer than 0.1° are merged.

Crystal structure
Lattice parameters (Å, degrees): 9.982 11.952 7.655 90.00 90.00 90.00
Space group Pnnm (No. 58)
Unique sites:
Nd  0.210  0.156  0.000
Nd  0.227  0.148  0.500
Ta  0.000  0.500  0.286
Ta  0.136  0.916  0.250
Se  0.019  0.336  0.500
Se  0.023  0.361  0.000
O  0.056  0.104  0.254
O  0.136  0.949  0.000
O  0.151  0.952  0.500
O  0.197  0.525  0.265
O  0.213  0.775  0.248

Most intense lines, 2θ from 15° to 90°, low angle first:
2θ 27.7, I 60, (0 2 2)
2θ 27.8, I 99, (3 1 0)
2θ 28.7, I 25, (2 3 0)
2θ 29.1, I 100, (1 2 2)
2θ 30.4, I 38, (2 1 2)
2θ 30.8, I 39, (3 2 0)
2θ 31.2, I 29, (1 4 0)
2θ 33.7, I 29, (1 3 2)
2θ 37.2, I 30, (2 3 2)
2θ 42.6, I 28, (3 3 2)
2θ 47.5, I 34, (0 0 4)
2θ 53.5, I 36, (4 4 2)


# 3
This entry pairs a crystal structure of Nd2SiTeO4 with its simulated PXRD pattern. Radiation: λ = 1.5418 Å (Cu Kα). Structure: a cell relaxed with GGA-PBE.
Lines closer than 0.1° are merged.

Crystal structure
Lattice parameters (Å, degrees): 6.358 7.265 11.300 90.00 90.00 90.00
Space group Pbcm (No. 57)
Unique sites:
Nd  0.112  0.250  0.000
Nd  0.387  0.539  0.250
Si  0.386  0.750  0.000
Te  0.096  0.579  0.750
O  0.230  0.577  0.036
O  0.452  0.231  0.615

Most intense lines, 2θ from 15° to 90°, low angle first:
2θ 24.4, I 26, (1 1 2)
2θ 29.2, I 75, (0 2 2)
2θ 29.4, I 20, (1 2 1)
2θ 31.7, I 100, (0 0 4)
2θ 34.7, I 31, (2 1 2)
2θ 37.2, I 13, (1 2 3)
2θ 39.1, I 32, (2 1 3)
2θ 39.8, I 16, (1 3 0)
2θ 51.2, I 14, (2 1 5)
2θ 58.0, I 13, (4 0 0)
2θ 66.2, I 13, (0 0 8)
2θ 66.3, I 14, (4 2 2)


# 4
This entry pairs a crystal structure of NdTlSiO4 with its simulated PXRD pattern. Radiation: λ = 1.5418 Å (Cu Kα). Structure: a cell relaxed with GGA-PBE.
Lines closer than 0.1° are merged.

Crystal structure
Lattice parameters (Å, degrees): 5.989 5.644 7.886 90.00 104.45 90.00
Space group P2_1/m (No. 11)
Unique sites:
Nd  0.225  0.250  0.069
Tl  0.305  0.250  0.615
Si  0.255  0.750  0.855
O  0.078  0.521  0.837
O  0.420  0.750  0.718
O  0.428  0.750  0.055

Most intense lines, 2θ from 15° to 90°, low angle first:
2θ 21.4, I 22, (1 0 1)
2θ 22.0, I 100, (1 1 0)
2θ 24.5, I 31, (1 0 -2)
2θ 28.2, I 71, (0 1 2)
2θ 29.2, I 15, (1 1 -2)
2θ 30.8, I 22, (2 0 0)
2θ 31.1, I 19, (1 0 2)
2θ 31.7, I 36, (0 2 0)
2θ 37.5, I 30, (2 1 -2)
2θ 40.5, I 25, (1 2 -2)
2θ 44.8, I 20, (2 2 0)
2θ 49.9, I 16, (3 1 0)


# 5
This entry pairs a crystal structure of NdSmO3 with its simulated PXRD pattern. Radiation: λ = 1.5418 Å (Cu Kα). Structure: a cell relaxed with GGA-PBE.
Lines closer than 0.1° are merged.

Crystal structure
Lattice parameters (Å, degrees): 6.1925 6.1925 3.1817 90.00 90.00 120.00
Space group P-6m2 (No. 187)
Unique sites:
Nd  0.0000  0.0000  0.0000
Sm  0.3333  0.6667  0.0000
O  0.1685  0.3370  0.5000

Most intense lines, 2θ from 15° to 90°, low angle first:
2θ 16.5, I 100, (1 0 0)
2θ 28.0, I 20, (0 0 1)
2θ 28.8, I 73, (1 1 0)
2θ 32.7, I 23, (1 0 1)
2θ 40.7, I 73, (1 1 1)
2θ 44.2, I 22, (2 0 1)
2θ 44.7, I 15, (2 1 0)
-- stop --

Repeat the data earlier on from the first line to the one with "34, (0" verbatim.

# 1
This entry pairs a crystal structure of Nd3Se3O with its simulated PXRD pattern. Radiation: λ = 1.5418 Å (Cu Kα). Structure: a cell relaxed with GGA-PBE.
Lines closer than 0.1° are merged.

Crystal structure
Lattice parameters (Å, degrees): 12.248 4.129 13.405 90.00 90.00 90.00
Space group Pnma (No. 62)
Unique sites:
Nd  0.024  0.250  0.160
Nd  0.103  0.250  0.613
Nd  0.239  0.250  0.870
Se  0.073  0.250  0.389
Se  0.144  0.750  0.010
Se  0.236  0.750  0.709
O  0.056  0.250  0.799

Most intense lines, 2θ from 15° to 90°, low angle first:
2θ 25.5, I 51, (3 0 2)
2θ 26.0, I 38, (2 1 0)
2θ 26.4, I 44, (1 1 2)
2θ 26.6, I 55, (0 0 4)
2θ 26.9, I 38, (2 1 1)
2θ 30.4, I 59, (1 1 3)
2θ 31.5, I 100, (3 1 1)
2θ 33.0, I 41, (2 1 3)
2θ 34.2, I 38, (1 0 5)
2θ 37.6, I 84, (2 1 4)
2θ 42.8, I 40, (2 1 5)
2θ 43.9, I 64, (0 2 0)


# 2
This entry pairs a crystal structure of Nd2Ta3Se2O8 with its simulated PXRD pattern. Radiation: λ = 1.5418 Å (Cu Kα). Structure: a cell relaxed with GGA-PBE.
Lines closer than 0.1° are merged.

Crystal structure
Lattice parameters (Å, degrees): 9.982 11.952 7.655 90.00 90.00 90.00
Space group Pnnm (No. 58)
Unique sites:
Nd  0.210  0.156  0.000
Nd  0.227  0.148  0.500
Ta  0.000  0.500  0.286
Ta  0.136  0.916  0.250
Se  0.019  0.336  0.500
Se  0.023  0.361  0.000
O  0.056  0.104  0.254
O  0.136  0.949  0.000
O  0.151  0.952  0.500
O  0.197  0.525  0.265
O  0.213  0.775  0.248

Most intense lines, 2θ from 15° to 90°, low angle first:
2θ 27.7, I 60, (0 2 2)
2θ 27.8, I 99, (3 1 0)
2θ 28.7, I 25, (2 3 0)
2θ 29.1, I 100, (1 2 2)
2θ 30.4, I 38, (2 1 2)
2θ 30.8, I 39, (3 2 0)
2θ 31.2, I 29, (1 4 0)
2θ 33.7, I 29, (1 3 2)
2θ 37.2, I 30, (2 3 2)
2θ 42.6, I 28, (3 3 2)
2θ 47.5, I 34, (0 0 4)